Sunday, December 17, 2023

Tremendous Evidence! Tremendous!

(2-minute read)

### Records of crystals from another source follow
'''
ThFeB2Rh5 | Alexandria | PBE-GGA | optimized geometry; formation energy from the elements = -0.297 eV per atom; spin magnetization = 3.656 Bohr magnetons per cell; N(E_F) = 0.69 states/eV per atom; density = 9.83 Mg/m³; uncorrected energy = -68.67 eV/cell
1.0
-0.326 3.796 1.726
-3.103 0.936 -2.644
-5.299 -2.827 5.217
Rh Fe Th B
5 1 1 2
Direct
0.000 0.500 0.790
0.000 0.000 0.500
0.500 0.000 0.210
0.000 0.500 0.210
0.500 0.000 0.790
0.000 0.000 0.000
0.500 0.500 0.500
0.000 0.000 0.244
0.000 0.000 0.756

~~~~~

1.
# KTeMoAuSe2 PBE optimized geometry
# VASP energy (eV/atom): -4.5527
# Density (kg/m3): 6207
# Volume (Å³/f.u.): 165
# Crystal system: orthorhombic
data_KTeMoAuSe2
_chemical_formula_sum 'K2 Te2 Mo2 Au2 Se4'
_space_group_name_H-M_alt 'P 1'
_space_group_IT_number 1
_space_group_name_Hall 'P 1'
_cell_length_a 8.210
_cell_length_b 8.210
_cell_length_c 10.587
_cell_angle_alpha 90.00
_cell_angle_beta 90.00
_cell_angle_gamma 152.42
loop_
_atom_site_label
_atom_site_fract_x
_atom_site_fract_y
_atom_site_fract_z
Se1 0.111 0.889 0.472
Te1 0.576 0.424 0.750
Te2 0.424 0.576 0.250
Mo1 0.500 0.500 0.500
Se2 0.111 0.889 0.028
Au1 0.055 0.945 0.250
K1 0.732 0.268 0.250
K2 0.268 0.732 0.750
Se3 0.889 0.111 0.972
Au2 0.945 0.055 0.750
Mo2 0.500 0.500 0.000
Se4 0.889 0.111 0.528

2.
# Re2O5 PBE optimized geometry
# VASP energy (eV/atom): -8.0620
# Density (kg/m3): 10134
# Excess energy over the best structure of this formula in the dataset (meV/atom): 477
# Volume (Å³/f.u.): 74
# Crystal system: monoclinic
data_Re2O5
_chemical_formula_sum 'Re2 O5'
_space_group_name_H-M_alt 'P 1'
_space_group_IT_number 1
_space_group_name_Hall 'P 1'
_cell_length_a 3.660
_cell_length_b 3.660
_cell_length_c 6.140
_cell_angle_alpha 108.23
_cell_angle_beta 108.23
_cell_angle_gamma 82.08
loop_
_atom_site_label
_atom_site_fract_x
_atom_site_fract_y
_atom_site_fract_z
O1 0.305 0.716 0.303
O2 0.284 0.695 0.697
Re1 0.826 0.742 0.777
O3 0.693 0.015 0.086
O4 0.985 0.307 0.914
Re2 0.258 0.174 0.223
O5 0.737 0.263 0.500

~~~~~

An optimized crystal structure of Fe2AsBrF, computed with PBE+U.

Cell lengths 5.009, 5.009, 4.256 Å; angles 90.00, 90.00, 90.00 degrees
Sites, in units of the cell vectors:
Fe 0.000 0.500 0.000
Fe 0.500 0.000 0.000
As 0.000 0.000 0.500
Br 0.500 0.500 0.000
F 0.500 0.500 0.500

uncorrected energy: -3.425 eV/atom
N(E_F): 0.356 states/eV per atom

---

An optimized crystal structure of FeAsBr2F, computed with PBE+U.

Cell lengths 4.952, 4.952, 5.134 Å; angles 90.00, 90.00, 90.00 degrees
Sites, in units of the cell vectors:
Fe 0.000 0.000 0.000
As 0.000 0.000 0.500
Br 0.000 0.500 0.000
Br 0.500 0.000 0.000
F 0.500 0.500 0.500

energy above the most stable polymorph in this dataset: 23 meV/atom
uncorrected energy: -2.958 eV/atom
N(E_F): 0.715 states/eV per atom

---

An optimized crystal structure of FeAsBr2F, computed with PBE+U.

Cell lengths 5.565, 5.565, 3.897 Å; angles 90.00, 90.00, 90.00 degrees
Sites, in units of the cell vectors:
Fe 0.000 0.000 0.000
'''

If doing it was as easy as saying it, we would have a lot more heroes.  Sometimes just trying is enough.

All will be revealed.

            Inuendo, conspiracy theories, make believe stories, and lies are not evidence. 

            Take the Hunter Biden investigation as just one small example.  MAGA Comer and other MAGA Republicans talk about the mountains of evidence that they have against President Biden and his son Hunter.[1]  Mountains!  They tell us. 

What MAGA Republicans have after 5 years of investigation is stacks of paper.  Stacks and stacks of paper.  Stacks of bank records.  Stacks of testimony transcripts.  Tremendous stacks of paper.  Not evidence of wrongdoing.[2]  Their own witnesses that they have called to testify have verified that they have no actual evidence.[3]  Just like they went through 4 years of a Trump Administration and never had a health plan that they talked constantly about.

            MAGA makes the same not supported claims of evidence about Orange Jesus not losing the 2020 election.  MAGA has had ample opportunity to present actual evidence to the courts.  They provided nothing, zip, nada to substantiate their outrageous claims.  Yet MAGA still claims that they have evidence and the loyal dupes of Orange Jesus believe what they’re not being told other than there’s tremendous evidence!  Piles of evidence!  Except for one not so small thing.

None of its evidence.

Mole Hills.

            MAGA Markwayne Mullin claims that they’re being stonewalled by the Biden Administration.[4]  Hunter Biden gave a demonstration of that by requesting to have his testimony televised live.  Really knows how to stonewall.  MAGA Mullin has also said that Biden didn’t do any of what he’s accused of doing while he was President.[5]  According to MAGA McConnell this should let President Biden off the hook.[6]  It did when MAGA Republicans voted not to impeach Trump for trying to overthrow our government.

            So, just for a quick recap.  MAGA Republicans have been investigating the Bidens for years and have yet to turn up any evidence of President Biden doing something, anything, illegal.  Based upon their total lack of evidence they have opened up an impeachment inquiry.  MAGA Republicans may not be able to govern but they sure can put on a show. 

Springtime for Hitler.[7]

[1] Mountains of evidence:


[3] No evidence:

[4] Stonewalling:



DFT (PBE) results for a relaxed Pm3ReO6 crystal.

Results
Crystal system = orthorhombic
D(E_F) = 3.291 states/eV per cell
Energy relative to the elements, uncorrected = -2.606 eV/atom
Magnetic moment = 0.000 μB/atom

```
20
Lattice="-3.134 3.778 -2.920 -4.454 -5.497 -2.331 -3.164 2.280 6.346" Properties=species:S:1:pos:R:3 pbc="T T T"
Pm -7.712 -1.609 0.977
Pm -3.097 0.340 -1.456
Pm -4.401 3.811 -1.150
O -2.731 1.585 2.991
O -3.917 2.590 5.167
Pm -6.841 1.146 -1.539
O -5.543 3.077 2.472
Pm -9.017 1.863 1.283
O -4.792 1.620 -0.567
O -7.178 0.613 0.690
O -4.951 -0.459 -2.858
O -5.639 -1.446 1.962
Pm -5.025 0.758 1.597
O -7.571 -1.566 -1.476
Re -5.707 -1.977 -1.888
O -6.609 -2.302 -3.860
O -4.693 -3.138 -0.895
O -5.352 0.478 4.372
O -3.253 -0.438 0.704
Re -6.540 4.339 1.591
```


PBE Si2PbSe, optimized geometry; SG = R-3m; energy = -4.107 eV/atom; total magnetic moment = 0.00 μB/atom; formation energy (no corrections) = 402.5 meV/atom
1.0
1.802 1.040 7.960
-1.802 1.040 7.960
0.000 -2.080 7.960
Si Pb Se
2 1 1
Cartesian
0.000 0.000 5.667 Si
0.000 0.000 18.212 Si
0.000 0.000 0.000 Pb
0.000 0.000 11.940 Se

PBE SiPb2Se4, optimized geometry; SG = P2_1/c; energy = -4.354 eV/atom; total magnetic moment = 0.00 μB/atom; formation energy (no corrections) = -529.1 meV/atom
1.0
8.748 0.000 0.000
0.000 7.369 0.000
-4.247 0.000 13.237
Si Pb Se
4 8 16
Cartesian
1.161 1.834 1.914 Si
-0.963 1.850 8.533 Si
5.464 5.519 4.704 Si
3.341 5.535 11.323 Si
-1.097 1.056 4.944 Pb
-3.220 2.629 11.562 Pb
3.298 4.715 1.843 Pb
1.174 6.338 8.462 Pb
3.327 1.031 4.776 Pb
1.203 2.654 11.394 Pb
7.721 4.741 1.675 Pb
5.598 6.313 8.294 Pb
-3.440 5.416 12.501 Se
-1.316 5.638 5.883 Se
-0.899 3.822 9.708 Se
1.224 7.232 3.089 Se
-0.901 0.174 10.110 Se
1.222 3.510 3.491 Se
0.897 1.627 7.182 Se
3.020 2.057 0.563 Se
1.481 5.312 12.674 Se
3.604 5.742 6.055 Se
3.279 3.859 9.747 Se
5.403 7.195 3.128 Se
3.277 0.137 10.148 Se
5.400 3.547 3.529 Se
5.817 1.732 7.355 Se
7.941 1.953 0.736 Se

PBE SiPbSe2, optimized geometry; SG = Imm2; energy = -3.953 eV/atom; total magnetic moment = 0.00 μB/atom; formation energy (no corrections) = 71.9 meV/atom
1.0
-1.743 2.814 5.392
1.743 -2.814 5.392
1.743 2.814 -5.392
Si Pb Se
1 1 2
Cartesian
0.000 0.000 0.000 Si
1.743 0.000 3.470 Pb
0.000 0.000 5.776 Se
0.000 2.814 3.608 Se

PBE Si2PbSe, optimized geometry; SG = C2/m; energy = -4.169 eV/atom; total magnetic moment = 0.00 μB/atom; formation energy (no corrections) = 340.9 meV/atom
1.0
2.872 -3.956 0.000
2.872 3.956 0.000
-2.810 0.000 3.970
Si Pb Se
2 1 1
Cartesian
1.436 1.978 0.000 Si
1.436 -1.978 0.000 Si
-1.405 0.000 1.985 Pb
1.467 0.000 1.985 Se

PBE SiPbSe2, optimized geometry; SG = P4mm; energy = -4.202 eV/atom; total magnetic moment = 0.00 μB/atom; formation energy (no corrections) = -177.1 meV/atom
1.0
4.157 0.000 0.000
0.000 4.157 0.000
0.000 0.000 6.174
Si Pb Se
1 1 2
Cartesian
0.000 0.000 0.000 Si
2.079 2.079 3.131 Pb
0.000 0.000 3.758 Se
2.079 2.079 0.186 Se

[7] From the movie “The Producers.”